== Assignment ==
Could you quote the whole of the listing further below without altering anything?

== Material ==
/*
[1]
U2MnZn16: computed XRD peak list (Cu Ka), based on a DFT-relaxed cell (PBE, Alexandria).
Kinematic intensities with the Lorentz-polarization factor, no thermal factor.

Cell and atoms:
a = 6.7863 Å, b = 6.7863 Å, c = 6.7863 Å
α = 82.69°, β = 82.69°, γ = 82.69°
Fractional coordinates of all 19 atoms:
1 U 0.0000 0.0000 0.0000
2 U 0.3227 0.3227 0.3227
3 Mn 0.7629 0.7629 0.7629
4 Zn 0.0156 0.0156 0.5148
5 Zn 0.0156 0.5148 0.0156
6 Zn 0.1626 0.6650 0.6650
7 Zn 0.3072 0.3072 0.8277
8 Zn 0.3072 0.8277 0.3072
9 Zn 0.3728 0.6646 0.9570
10 Zn 0.3728 0.9570 0.6646
11 Zn 0.5148 0.0156 0.0156
12 Zn 0.5592 0.5592 0.5592
13 Zn 0.6650 0.1626 0.6650
14 Zn 0.6646 0.3728 0.9570
15 Zn 0.6650 0.6650 0.1626
16 Zn 0.6646 0.9570 0.3728
17 Zn 0.8277 0.3072 0.3072
18 Zn 0.9570 0.3728 0.6646
19 Zn 0.9570 0.6646 0.3728

Top 8 peaks for 2θ from 15° to 90°, by angle:
28.5°, d = 3.136 Å, I = 47; 34.7°, d = 2.588 Å, I = 42; 35.8°, d = 2.510 Å, I = 29; 40.2°, d = 2.242 Å, I = 60; 40.5°, d = 2.229 Å, I = 100; 41.2°, d = 2.193 Å, I = 48; 58.9°, d = 1.568 Å, I = 27; 73.1°, d = 1.294 Å, I = 23



[2]
In2Hg6Pb5: computed XRD peak list (Cu Ka), based on a DFT-relaxed cell (PBE, Alexandria).
Kinematic intensities with the Lorentz-polarization factor, no thermal factor.

Cell and atoms:
a = 5.9343 Å, b = 6.6440 Å, c = 9.5346 Å
α = 93.56°, β = 90.67°, γ = 90.51°
Fractional coordinates of all 13 atoms:
1 In 0.1239 0.2486 0.3052
2 In 0.8761 0.7514 0.6948
3 Hg 0.0243 0.1881 0.6600
4 Hg 0.0722 0.2672 0.9841
5 Hg 0.2836 0.5574 0.5626
6 Hg 0.7164 0.4426 0.4374
7 Hg 0.9278 0.7328 0.0159
8 Hg 0.9757 0.8119 0.3400
9 Pb 0.3910 0.8628 0.8533
10 Pb 0.4315 0.6425 0.1693
11 Pb 0.5000 0.0000 0.5000
12 Pb 0.5685 0.3575 0.8307
13 Pb 0.6090 0.1372 0.1467

Top 8 peaks for 2θ from 15° to 90°, by angle:
27.9°, d = 3.196 Å, I = 26; 29.1°, d = 3.072 Å, I = 26; 31.0°, d = 2.882 Å, I = 24; 31.9°, d = 2.806 Å, I = 73; 32.2°, d = 2.783 Å, I = 100; 33.0°, d = 2.716 Å, I = 93; 34.2°, d = 2.622 Å, I = 43; 35.3°, d = 2.543 Å, I = 36

=====

1.
Calculated XRD peak list of Ir for Cu Ka, from a GGA-PBE-relaxed structure.
Peak positions follow from Bragg's law for the DFT cell and can differ from measured ones.

Most intense lines, 10 to 90 degrees two-theta, by angle:
| Position (°2θ) | I_rel |
| --- | --- |
| 40.92 | 100 |
| 59.25 | 17 |
| 74.52 | 35 |
| 88.71 | 12 |

Crystal structure
```
1
Lattice="-1.5595 1.5595 1.5595 1.5595 -1.5595 1.5595 1.5595 1.5595 -1.5595" Properties=species:S:1:pos:R:3 pbc="T T T"
Ir 0.0000 0.0000 0.0000
```

---

2.
Calculated XRD peak list of CuBi for Cu Ka, from a GGA-PBE-relaxed structure.
Peak positions follow from Bragg's law for the DFT cell and can differ from measured ones.

Most intense lines, 10 to 90 degrees two-theta, by angle:
| Position (°2θ) | I_rel |
| --- | --- |
| 29.04 | 100 |
| 40.72 | 49 |
| 42.34 | 34 |
| 50.79 | 22 |
| 54.71 | 11 |
| 59.07 | 14 |
| 60.19 | 12 |
| 67.04 | 20 |
| 75.22 | 12 |
| 87.86 | 11 |

Crystal structure
```
4
Lattice="4.4319 0.0000 0.0000 -2.2160 3.8382 0.0000 0.0000 0.0000 5.1372" Properties=species:S:1:pos:R:3 pbc="T T T"
Cu 0.0000 0.0000 0.0000
Cu 0.0000 0.0000 2.5686
Bi 0.0000 2.5588 1.2843
Bi 2.2160 1.2794 3.8529
```

---

3.
Calculated XRD peak list of Zr2NiS4 for Cu Ka, from a GGA-PBE-relaxed structure.
Peak positions follow from Bragg's law for the DFT cell and can differ from measured ones.

Most intense lines, 10 to 90 degrees two-theta, by angle:
| Position (°2θ) | I_rel |
| --- | --- |
| 15.11 | 74 |
| 15.93 | 25 |
| 31.97 | 100 |
| 32.16 | 49 |
| 41.87 | 66 |
| 42.02 | 33 |
| 49.38 | 20 |
| 49.83 | 39 |
| 55.09 | 16 |
| 66.80 | 15 |

Crystal structure
```
7
Lattice="6.6551 -1.8457 0.0000 6.6551 1.8457 0.0000 -2.9897 0.0000 5.5689" Properties=species:S:1:pos:R:3 pbc="T T T"
Zr 0.0000 0.0000 0.0000
Zr 5.1663 0.0000 2.8592
Ni 2.3561 0.0000 3.7110
S 0.3212 0.0000 2.6297
S 4.8406 0.0000 0.3040
S 5.4755 0.0000 5.3921
S 9.9830 0.0000 3.0051
```

---

4.
*/

== Written answer ==
[1]
U2MnZn16: computed XRD peak list (Cu Ka), based on a DFT-relaxed cell (PBE, Alexandria).
Kinematic intensities with the Lorentz-polarization factor, no thermal factor.

Cell and atoms:
a = 6.7863 Å, b = 6.7863 Å, c = 6.7863 Å
α = 82.69°, β = 82.69°, γ = 82.69°
Fractional coordinates of all 19 atoms:
1 U 0.0000 0.0000 0.0000
2 U 0.3227 0.3227 0.3227
3 Mn 0.7629 0.7629 0.7629
4 Zn 0.0156 0.0156 0.5148
5 Zn 0.0156 0.5148 0.0156
6 Zn 0.1626 0.6650 0.6650
7 Zn 0.3072 0.3072 0.8277
8 Zn 0.3072 0.8277 0.3072
9 Zn 0.3728 0.6646 0.9570
10 Zn 0.3728 0.9570 0.6646
11 Zn 0.5148 0.0156 0.0156
12 Zn 0.5592 0.5592 0.5592
13 Zn 0.6650 0.1626 0.6650
14 Zn 0.6646 0.3728 0.9570
15 Zn 0.6650 0.6650 0.1626
16 Zn 0.6646 0.9570 0.3728
17 Zn 0.8277 0.3072 0.3072
18 Zn 0.9570 0.3728 0.6646
19 Zn 0.9570 0.6646 0.3728

Top 8 peaks for 2θ from 15° to 90°, by angle:
28.5°, d = 3.136 Å, I = 47; 34.7°, d = 2.588 Å, I = 42; 35.8°, d = 2.510 Å, I = 29; 40.2°, d = 2.242 Å, I = 60; 40.5°, d = 2.229 Å, I = 100; 41.2°, d = 2.193 Å, I = 48; 58.9°, d = 1.568 Å, I = 27; 73.1°, d = 1.294 Å, I = 23



[2]
In2Hg6Pb5: computed XRD peak list (Cu Ka), based on a DFT-relaxed cell (PBE, Alexandria).
Kinematic intensities with the Lorentz-polarization factor, no thermal factor.

Cell and atoms:
a = 5.9343 Å, b = 6.6440 Å, c = 9.5346 Å
α = 93.56°, β = 90.67°, γ = 90.51°
Fractional coordinates of all 13 atoms:
1 In 0.1239 0.2486 0.3052
2 In 0.8761 0.7514 0.6948
3 Hg 0.0243 0.1881 0.6600
4 Hg 0.0722 0.2672 0.9841
5 Hg 0.2836 0.5574 0.5626
6 Hg 0.7164 0.4426 0.4374
7 Hg 0.9278 0.7328 0.0159
8 Hg 0.9757 0.8119 0.3400
9 Pb 0.3910 0.8628 0.8533
10 Pb 0.4315 0.6425 0.1693
11 Pb 0.5000 0.0000 0.5000
12 Pb 0.5685 0.3575 0.8307
13 Pb 0.6090 0.1372 0.1467

Top 8 peaks for 2θ from 15° to 90°, by angle:
27.9°, d = 3.196 Å, I = 26; 29.1°, d = 3.072 Å, I = 26; 31.0°, d = 2.882 Å, I = 24; 31.9°, d = 2.806 Å, I = 73; 32.2°, d = 2.783 Å, I = 100; 33.0°, d = 2.716 Å, I = 93; 34.2°, d = 2.622 Å, I = 43; 35.3°, d = 2.543 Å, I = 36

=====

1.
Calculated XRD peak list of Ir for Cu Ka, from a GGA-PBE-relaxed structure.
Peak positions follow from Bragg's law for the DFT cell and can differ from measured ones.

Most intense lines, 10 to 90 degrees two-theta, by angle:
| Position (°2θ) | I_rel |
| --- | --- |
| 40.92 | 100 |
| 59.25 | 17 |
| 74.52 | 35 |
| 88.71 | 12 |

Crystal structure
```
1
Lattice="-1.5595 1.5595 1.5595 1.5595 -1.5595 1.5595 1.5595 1.5595 -1.5595" Properties=species:S:1:pos:R:3 pbc="T T T"
Ir 0.0000 0.0000 0.0000
```

---

2.
Calculated XRD peak list of CuBi for Cu Ka, from a GGA-PBE-relaxed structure.
Peak positions follow from Bragg's law for the DFT cell and can differ from measured ones.

Most intense lines, 10 to 90 degrees two-theta, by angle:
| Position (°2θ) | I_rel |
| --- | --- |
| 29.04 | 100 |
| 40.72 | 49 |
| 42.34 | 34 |
| 50.79 | 22 |
| 54.71 | 11 |
| 59.07 | 14 |
| 60.19 | 12 |
| 67.04 | 20 |
| 75.22 | 12 |
| 87.86 | 11 |

Crystal structure
```
4
Lattice="4.4319 0.0000 0.0000 -2.2160 3.8382 0.0000 0.0000 0.0000 5.1372" Properties=species:S:1:pos:R:3 pbc="T T T"
Cu 0.0000 0.0000 0.0000
Cu 0.0000 0.0000 2.5686
Bi 0.0000 2.5588 1.2843
Bi 2.2160 1.2794 3.8529
```

---

3.
Calculated XRD peak list of Zr2NiS4 for Cu Ka, from a GGA-PBE-relaxed structure.
Peak positions follow from Bragg's law for the DFT cell and can differ from measured ones.

Most intense lines, 10 to 90 degrees two-theta, by angle:
| Position (°2θ) | I_rel |
| --- | --- |
| 15.11 | 74 |
| 15.93 | 25 |
| 31.97 | 100 |
| 32.16 | 49 |
| 41.87 | 66 |
| 42.02 | 33 |
| 49.38 | 20 |
| 49.83 | 39 |
| 55.09 | 16 |
| 66.80 | 15 |

Crystal structure
```
7
Lattice="6.6551 -1.8457 0.0000 6.6551 1.8457 0.0000 -2.9897 0.0000 5.5689" Properties=species:S:1:pos:R:3 pbc="T T T"
Zr 0.0000 0.0000 0.0000
Zr 5.1663 0.0000 2.8592
Ni 2.3561 0.0000 3.7110
S 0.3212 0.0000 2.6297
S 4.8406 0.0000 0.3040
S 5.4755 0.0000 5.3921
S 9.9830 0.0000 3.0051
```

---

4.